== Request ==
Your job: filter the contents further down: keep the lines with the word "at".

== Given ==
********
DyThZn2Ga2: optimized geometry, PBE.

Output
Electronic total energy: -3.96 eV per atom
M_tot: 0.0 μB per formula unit
ΔE_f: -0.52 eV per atom

```
6
Lattice="4.417 0.000 0.000 -2.208 3.825 0.000 0.000 0.000 7.502" Properties=species:S:1:pos:R:3 pbc="T T T"
Dy 0.000 0.000 3.751
Th 0.000 0.000 0.000
Zn 2.208 1.275 5.500
Zn 0.000 2.550 2.003
Ga 2.208 1.275 1.970
Ga 0.000 2.550 5.532
```



NpNiS3: optimized geometry, PBE.

Output
Electronic total energy: -7.06 eV per atom
M_tot: 2.9 μB per formula unit
Raw formation energy: -0.84 eV/atom

```
10
Lattice="4.222 0.000 0.000 0.000 5.080 0.000 0.000 -2.540 10.199" Properties=species:S:1:pos:R:3 pbc="T T T"
Np 1.055 3.346 6.934
Np 3.166 0.806 3.265
Ni 1.055 3.375 2.875
Ni 3.166 0.835 7.323
S 3.166 2.768 8.459
S 3.166 3.217 2.169
S 3.166 -0.621 5.622
S 1.055 0.677 8.030
S 1.055 0.228 1.740
S 1.055 1.919 4.577
```



K2PtAuO4: optimized geometry, PBE.

Output
Electronic total energy: -4.69 eV per atom
M_tot: 1.0 μB per formula unit
Raw formation energy: -0.77 eV/atom

```
16
Lattice="-4.082 4.023 2.205 -5.631 -3.124 3.826 2.998 2.736 9.109" Properties=species:S:1:pos:R:3 pbc="T T T"
K 1.256 2.486 6.342
K -2.341 4.273 4.972
K -2.636 3.073 10.889
K -6.119 2.572 5.354
Pt -4.378 2.823 8.121
Pt 0.000 0.000 0.000
Au -2.337 0.812 7.019
Au -2.041 2.011 1.102
O -5.959 -1.145 3.862
O 1.295 2.758 10.171
O -5.019 3.612 14.067
O -3.747 2.044 2.181
O -4.050 0.843 8.086
O -2.675 2.801 7.060
O -6.074 2.846 9.195
O -0.631 0.779 5.940
```



K3Ho2GaO6: optimized geometry, PBE.

Output
Electronic total energy: -6.12 eV per atom
M_tot: 0.0 μB per formula unit
Raw formation energy: -2.36 eV/atom

```
12
Lattice="5.800 -0.002 0.002 -2.900 5.023 0.002 -0.965 -1.671 6.221" Properties=species:S:1:pos:R:3 pbc="T T T"
K -1.963 3.367 3.112
K 3.898 -0.017 3.112
K 0.967 1.675 3.112
Ho -0.002 3.349 0.002
Ho 2.902 1.672 0.002
Ga 0.000 0.000 0.000
O 2.843 1.778 5.093
O 1.994 3.453 1.126
O -0.908 1.572 1.132
O 0.119 3.351 5.093
O -0.059 -0.103 5.098
O 1.815 -0.001 1.132
```



Number 1: DOS at the Fermi energy 0.56 states/eV/atom. Number 2: DOS at the Fermi energy 1.82 states/eV/atom. Number 3: DOS at the Fermi energy 0.46 states/eV/atom. Number 4: DOS at the Fermi energy 0.00 states/eV/atom.

----------

1.
Ho2Al4CuPt after structural relaxation. Source: OQMD via LeMat-Bulk, functional PBE.

Geometry as CIF:
```
data_Ho2Al4CuPt
_chemical_formula_sum 'Ho4 Al8 Cu2 Pt2'
_cell_length_a 6.807
_cell_length_b 4.274
_cell_length_c 10.149
_cell_angle_alpha 90.00
_cell_angle_beta 90.00
_cell_angle_gamma 90.00
_symmetry_space_group_name_H-M 'A m m 2'
_symmetry_Int_Tables_number 38
_symmetry_space_group_name_Hall 'A 2 -2'
loop_
_atom_site_label
_atom_site_type_symbol
_atom_site_fract_x
_atom_site_fract_y
_atom_site_fract_z
Ho1 Ho 0.000 0.000 0.000
Ho2 Ho 0.500 0.000 0.148
Al1 Al 0.200 0.000 0.715
Al2 Al 0.305 0.000 0.436
Cu1 Cu 0.500 0.000 0.867
Pt1 Pt 0.000 0.000 0.284
```

Calculated values
M_tot = 0.0 Bohr magnetons per cell
DFT total energy = -4.969 eV per atom
crystal system = orthorhombic

2.
Ho2ScAl3CuSi2 after structural relaxation. Source: OQMD via LeMat-Bulk, functional PBE.

Geometry as CIF:
```
data_Ho2ScAl3CuSi2
_chemical_formula_sum 'Ho4 Sc2 Al6 Cu2 Si4'
_cell_length_a 4.097
_cell_length_b 11.747
_cell_length_c 6.848
_cell_angle_alpha 90.00
_cell_angle_beta 90.00
_cell_angle_gamma 90.00
_symmetry_space_group_name_H-M 'A m m 2'
_symmetry_Int_Tables_number 38
_symmetry_space_group_name_Hall 'A 2 -2'
loop_
_atom_site_label
_atom_site_type_symbol
_atom_site_fract_x
_atom_site_fract_y
_atom_site_fract_z
Ho1 Ho 0.000 0.204 0.000
Sc1 Sc 0.000 0.000 0.611
Al1 Al 0.500 0.000 0.967
Al2 Al 0.500 0.119 0.327
Cu1 Cu 0.000 0.000 0.217
Si1 Si 0.500 0.161 0.703
```

Calculated values
M_tot = 0.0 Bohr magnetons per cell
DFT total energy = -5.214 eV per atom
crystal system = orthorhombic

----------

Entry 1:
{
  "formula": "LaPm3Pr6Y2",
  "functional": "PBE-GGA",
  "state": "optimized geometry",
  "energy_ev_per_cell": -60.622,
********

== Solution ==
Number 1: DOS at the Fermi energy 0.56 states/eV/atom. Number 2: DOS at the Fermi energy 1.82 states/eV/atom. Number 3: DOS at the Fermi energy 0.46 states/eV/atom. Number 4: DOS at the Fermi energy 0.00 states/eV/atom.